September 13, 2018
From some material
originally included in
I've got reservations about it these days, but there was an idea
in "web design" that I used to like where rather than having a
## Quantum chemistry results that have nothing to do with the page
- - -
# 1
Entry from the Open Molecules 2025 dataset: a structure of composition C25H42AlBrFN11O2P (ωB97M-V/def2-TZVPD).

Geometry as XYZ:
```
84
Properties=species:S:1:pos:R:3
C -7.55958 1.38931 -2.97291
C -6.02216 1.49305 -2.32232
Br -4.94869 2.93785 -3.21166
C -5.18648 0.07627 -2.48626
Al -5.59338 -1.20949 -0.94077
F -7.33297 -2.02053 -1.12057
C -4.26447 -2.82238 -0.90545
C -4.99322 -3.98189 0.01267
O -5.64830 -4.96887 -0.60436
P -5.36274 -0.21153 1.19271
N -4.73401 1.45109 1.03195
O -6.99394 -0.23500 1.86109
H -7.68909 2.39051 -3.59157
H -8.37133 1.45607 -2.10372
H -7.71666 0.41745 -3.61253
H -6.12397 1.77703 -1.19181
H -5.54546 -0.38231 -3.52714
H -4.01297 0.26727 -2.55418
H -3.32835 -2.45321 -0.30813
H -4.05476 -3.13757 -2.01272
H -4.94172 -3.91347 1.19785
H -3.92271 1.40690 0.35259
H -4.41960 1.72219 1.98928
H -7.30476 -1.18685 1.65974
C -0.59895 1.82019 -0.79679
C -1.58743 0.67148 -0.91430
N -2.40742 -0.28148 -1.01174
H 0.00327 1.88838 -1.70701
H -1.13658 2.76157 -0.65419
H 0.06391 1.65584 0.05715
C 2.84143 -0.41074 -3.28388
C 2.43058 0.83011 -2.50805
N 2.08978 1.85952 -1.86446
H 3.06996 -1.22510 -2.59077
H 2.02846 -0.72333 -3.94489
H 3.72826 -0.19694 -3.88673
C -0.75460 1.95797 -5.30500
C 0.52117 1.13724 -5.40100
N 1.57950 0.45635 -5.48064
H -0.72171 2.59570 -4.41730
H -0.86023 2.58805 -6.19236
H -1.62061 1.29414 -5.23454
C 2.68099 4.76117 -5.92129
C 1.38073 5.35489 -5.40434
N 0.30204 5.84738 -4.97551
H 3.19585 5.48734 -6.55643
H 3.33062 4.49855 -5.08191
H 2.47332 3.86088 -6.50605
C 0.20928 -2.62370 1.73778
C -0.04806 -1.14422 1.97299
N -0.26160 0.08312 2.16811
H 0.83782 -2.75670 0.85287
H 0.71773 -3.05600 2.60390
H -0.73826 -3.14706 1.58332
C 3.82554 1.23494 2.63980
C 3.30372 -0.12248 2.19761
N 2.87083 -1.24854 1.83073
H 3.15424 1.66701 3.38711
H 4.82218 1.12706 3.07642
H 3.88403 1.90965 1.78134
C 7.17037 1.14870 5.94916
C 6.66729 1.70081 4.62534
N 6.24996 2.15888 3.52715
H 6.38688 0.55400 6.42693
H 8.04539 0.51510 5.78046
H 7.44889 1.97068 6.61428
C -7.72371 -4.40487 2.59570
C -7.32839 -3.44163 3.70309
N -7.00041 -2.64254 4.62173
H -7.64522 -5.43557 2.95249
H -8.75440 -4.21311 2.28510
H -7.06235 -4.27486 1.73471
C 10.92485 2.05173 4.24343
C 10.32948 1.78233 5.61579
N 9.83554 1.55883 6.75425
H 11.12956 3.11981 4.12900
H 11.85901 1.49562 4.12659
H 10.22405 1.73816 3.46486
C 4.67227 -4.05631 1.49485
C 5.94804 -4.87704 1.39885
N 7.00637 -5.55794 1.31922
H 4.70516 -3.41858 2.38256
H 4.56664 -3.42623 0.60749
H 3.80626 -4.72014 1.56531
```

For the LUMO energy, the calculation gives 1.17 eV. Its charge is -1.

=====

# 2
Entry from the Open Molecules 2025 dataset: a cluster of 2 separate species, C7H9PS in total (ωB97M-V/def2-TZVPD).

Geometry as XYZ:
```
18
Properties=species:S:1:pos:R:3
C -2.05443 -2.13465 -0.37029
C -1.03811 -1.76191 -1.22813
C -2.46657 -1.34829 0.68367
C -0.25293 -0.64526 -0.91096
C -1.66626 -0.22957 1.01140
C -0.55513 0.07357 0.25209
C 3.47908 1.95028 0.43443
P 0.54502 1.53769 0.86137
S 2.08825 0.91311 -0.29106
- - -
proliferation of links to external pages, each such link would go
to a "vestibule" page that would have some short
description/discussion about the link.
I thought I might do this with the "doomfiles" also:
Rather than go directly to the external
location, they'll do an internal html
jump into a special doomfiles
"vestibule" page (possibly called
page will contain a listing of live
external links, with brief discussion/
description of what the links point to.
The purpose of the "Vestibule" approach It's something like this:
is a little hard to put in words, but
I've experimented with it in other web Promiscuously linked
pages (notably my San Francisco guide) webs can be discon-
and I like the way it works. certingly fuzzy.
(In some respects, it's Click-click-click
better for *each page* and you pass
to have it's own vestibule, rapidly through
but this would disrupt the multiple topics
doomfiles "browse sequence" and points-of-view.
too much.)
With this
cluster of pages
("the doomfiles")
you're supposed
There's a real problem with the to know you're
usual practice with web links: in one place,
a link to a page shows up as a listening to one
few highlighted words. These voice.
words typically give you a
*hint* about where the link When you follow
goes, but don't really say very an external link,
much. if you need to
go through the
Compare that to the print "vestibule" on the
media version of a link, the way out, it
footnote, where any amount of underlines the
commentary about a reference fact that you're
is allowed: leaving, it
You can describe what kind of the boundary.
work it is, express
reservations about some aspects Further, once
of it, list authors and dates you're used to
of publication, etc. The it, it makes
footnote gives you information possible a
you can use to decide whether different style
you'll follow the reference. of reading, you
can defer
following a
Clicking on a link is far link because
less time-consuming that you know you
following a print-media can find it
reference, but nevertheless below in the
it does consume some time and "vestibule",
effort, and many people just which acts as a
skip them out of habit. "see also"
And the
vestibule itself
can be an
page to read
One of the big reasons I'm having
second thoughts these days is the
proliferation of stupid javascript
tricks like a pop-up that says
"You are leaving our absolutely
wunnerful site! Are you sure you
want to, you crazy you?"
There's much to be said
for Standard Behavior.